The reader should find the line further below that holds "1.86192 -1.99076", then duplicate that line and all lines after it there.

/*
1.
Below is a molecular structure, C34H46BF9N6O4PSeSiTl, with properties calculated with the ωB97M-V functional and the def2-TZVPD basis.

Output
DFT total energy: -165478.625 eV

The geometry in XYZ format:
```
104
C34H46BF9N6O4PSeSiTl the ωB97M-V functional and the def2-TZVPD basis
Tl -0.43726 -0.05259 -0.35792
Se -0.09326 -2.13684 -1.90156
P 2.43909 0.49145 -1.95385
Si -1.06217 -2.17084 -3.98243
F -3.38008 -0.06889 4.22976
F -2.48444 3.31168 2.11878
F -2.62868 2.41068 4.06581
F -4.81920 0.01331 1.38072
F -0.84388 2.16012 2.89574
F -4.38609 2.02771 0.78700
F -1.36149 -0.39675 3.55489
F -3.00898 -1.40317 2.60298
F -4.96088 1.61445 2.81590
O 0.89685 0.21472 1.72888
O -2.06562 0.72488 0.99012
O -0.78154 -2.01484 1.23871
O 1.86192 -1.99076 0.53957
N -2.68982 1.78892 -2.06482
N -0.80436 3.13158 -0.89962
N 2.64717 0.48075 3.09608
N 0.11060 2.20469 -0.50019
N -2.28017 0.55736 -1.73561
N -0.84708 -4.26284 1.14395
C -0.19608 -3.08571 1.17446
C 1.32980 -3.12594 1.18878
C -3.33632 -0.24741 -1.81771
C 1.93712 1.50412 3.84881
C 0.57788 4.14097 0.51864
C 4.05810 0.33759 3.41087
C -2.62751 -0.24924 3.14103
C -4.45028 0.46123 -2.25917
C -4.24692 1.15501 1.77634
C 4.85098 1.44947 -0.88073
C -2.17926 2.21876 2.82174
C 4.45093 -2.98280 -2.75168
C 2.02773 -0.11830 2.06238
C 3.62029 -2.02037 -2.19021
C 0.31456 -2.91254 -4.98823
C 1.60963 1.22603 -3.40361
C -2.30112 -4.26060 1.05676
C 2.75666 -1.21693 1.28898
C -3.98441 1.75742 -2.39947
C 4.28923 -0.45652 -3.88099
C 5.72183 2.42723 -0.42366
C 3.35668 3.14518 -1.68031
C 4.22923 4.12560 -1.22611
C 3.65512 1.79433 -1.51410
C -0.52544 4.29083 -0.30764
C 3.53537 -0.74703 -2.74441
C 0.92489 2.81015 0.36978
C 5.41151 3.77098 -0.59494
C 5.11116 -1.41718 -4.44975
C -1.60349 -0.56816 -4.73864
C -2.49288 -3.35167 -3.90561
C -2.73002 0.92864 2.12437
C 5.19575 -2.68385 -3.88212
C -0.17786 -5.54157 0.94824
B -1.72854 3.00677 -2.16561
H 0.29727 -5.60361 -0.03287
H 1.71625 -4.01549 0.69166
H 2.42579 3.44101 -2.14875
H 6.09163 4.53589 -0.24330
H -2.17392 -4.30278 -3.47531
H 2.16396 1.37542 4.90744
H 3.00072 -2.26620 -1.33532
H -0.04157 -3.23390 -5.96989
H 0.76912 1.85019 -3.09864
H -4.48633 2.66071 -2.69882
H 0.56184 -5.74086 1.72348
H -2.61160 -4.58488 0.06078
H 4.24864 0.53343 -4.32120
H -0.92991 -6.32442 1.00663
H -1.03077 2.90594 -3.15716
H 0.86868 1.40303 3.68499
H 1.72791 2.25841 0.82678
H 1.04512 4.88424 1.13868
H 5.11773 0.40334 -0.76604
H -1.12481 5.15670 -0.52943
H 1.23228 0.40044 -4.00186
H -3.29482 -2.94878 -3.28591
H -2.48431 -0.15894 -4.24873
H 5.69079 -1.17751 -5.33167
H 3.43432 -0.73313 0.57610
H 4.53812 -0.40988 2.79133
H 0.74244 -3.77770 -4.47710
H 2.25369 2.50326 3.54071
H 3.97777 5.16938 -1.36284
H 4.50382 -3.97107 -2.31250
H 2.29133 1.82475 -4.01042
H 1.11786 -2.18546 -5.12746
H -0.82532 0.18989 -4.71240
H -3.23850 -1.28444 -1.53522
H 4.18446 0.05705 4.45796
H -2.71638 -4.93953 1.80162
H -2.66683 -3.25536 1.23512
H -2.40629 4.00647 -2.19327
H 1.63448 -3.16332 2.24191
H 4.57189 1.28728 3.24472
H 5.83666 -3.43482 -4.32536
H -1.85067 -0.76036 -5.78720
H -5.44906 0.09740 -2.42149
H -2.89543 -3.54200 -4.90372
H 3.35564 -1.84544 1.95212
H 6.65042 2.14134 0.05397
```

Mulliken population analysis, charges in e, atoms 1 to 99: 2.426 -0.720 1.956 1.104 -0.275 -0.247 -0.316 -0.253 -0.041 -0.157 -0.220 -0.220 -0.277 0.276 -0.264 0.051 0.239 0.734 -0.173 0.218 0.393 0.216 0.236 -0.540 -0.511 -0.295 -0.885 -1.790 -1.155 0.173 -1.398 0.222 -0.576 0.097 -0.878 0.847 0.162 -1.249 -1.479 -0.823 -2.130 -0.759 -0.518 -0.730 -0.446 -0.699 0.094 -0.596 0.122 -0.128 -0.550 -0.752 -0.773 -1.152 0.451 -0.545 -1.079 0.101 0.325 0.489 0.263 0.407 0.266 0.455 0.132 0.411 0.315 0.495 0.358 0.342 0.335 0.374 -0.154 0.084 0.593 0.578 0.239 0.533 0.167 0.278 0.135 0.419 0.082 0.432 0.285 0.306 0.444 0.434 0.633 0.268 0.186 0.428 0.299 0.346 0.084 -0.274 0.362 0.347 0.394



2.
*/

O 1.86192 -1.99076 0.53957
N -2.68982 1.78892 -2.06482
N -0.80436 3.13158 -0.89962
N 2.64717 0.48075 3.09608
N 0.11060 2.20469 -0.50019
N -2.28017 0.55736 -1.73561
N -0.84708 -4.26284 1.14395
C -0.19608 -3.08571 1.17446
C 1.32980 -3.12594 1.18878
C -3.33632 -0.24741 -1.81771
C 1.93712 1.50412 3.84881
C 0.57788 4.14097 0.51864
C 4.05810 0.33759 3.41087
C -2.62751 -0.24924 3.14103
C -4.45028 0.46123 -2.25917
C -4.24692 1.15501 1.77634
C 4.85098 1.44947 -0.88073
C -2.17926 2.21876 2.82174
C 4.45093 -2.98280 -2.75168
C 2.02773 -0.11830 2.06238
C 3.62029 -2.02037 -2.19021
C 0.31456 -2.91254 -4.98823
C 1.60963 1.22603 -3.40361
C -2.30112 -4.26060 1.05676
C 2.75666 -1.21693 1.28898
C -3.98441 1.75742 -2.39947
C 4.28923 -0.45652 -3.88099
C 5.72183 2.42723 -0.42366
C 3.35668 3.14518 -1.68031
C 4.22923 4.12560 -1.22611
C 3.65512 1.79433 -1.51410
C -0.52544 4.29083 -0.30764
C 3.53537 -0.74703 -2.74441
C 0.92489 2.81015 0.36978
C 5.41151 3.77098 -0.59494
C 5.11116 -1.41718 -4.44975
C -1.60349 -0.56816 -4.73864
C -2.49288 -3.35167 -3.90561
C -2.73002 0.92864 2.12437
C 5.19575 -2.68385 -3.88212
C -0.17786 -5.54157 0.94824
B -1.72854 3.00677 -2.16561
H 0.29727 -5.60361 -0.03287
H 1.71625 -4.01549 0.69166
H 2.42579 3.44101 -2.14875
H 6.09163 4.53589 -0.24330
H -2.17392 -4.30278 -3.47531
H 2.16396 1.37542 4.90744
H 3.00072 -2.26620 -1.33532
H -0.04157 -3.23390 -5.96989
H 0.76912 1.85019 -3.09864
H -4.48633 2.66071 -2.69882
H 0.56184 -5.74086 1.72348
H -2.61160 -4.58488 0.06078
H 4.24864 0.53343 -4.32120
H -0.92991 -6.32442 1.00663
H -1.03077 2.90594 -3.15716
H 0.86868 1.40303 3.68499
H 1.72791 2.25841 0.82678
H 1.04512 4.88424 1.13868
H 5.11773 0.40334 -0.76604
H -1.12481 5.15670 -0.52943
H 1.23228 0.40044 -4.00186
H -3.29482 -2.94878 -3.28591
H -2.48431 -0.15894 -4.24873
H 5.69079 -1.17751 -5.33167
H 3.43432 -0.73313 0.57610
H 4.53812 -0.40988 2.79133
H 0.74244 -3.77770 -4.47710
H 2.25369 2.50326 3.54071
H 3.97777 5.16938 -1.36284
H 4.50382 -3.97107 -2.31250
H 2.29133 1.82475 -4.01042
H 1.11786 -2.18546 -5.12746
H -0.82532 0.18989 -4.71240
H -3.23850 -1.28444 -1.53522
H 4.18446 0.05705 4.45796
H -2.71638 -4.93953 1.80162
H -2.66683 -3.25536 1.23512
H -2.40629 4.00647 -2.19327
H 1.63448 -3.16332 2.24191
H 4.57189 1.28728 3.24472
H 5.83666 -3.43482 -4.32536
H -1.85067 -0.76036 -5.78720
H -5.44906 0.09740 -2.42149
H -2.89543 -3.54200 -4.90372
H 3.35564 -1.84544 1.95212
H 6.65042 2.14134 0.05397
```

Mulliken population analysis, charges in e, atoms 1 to 99: 2.426 -0.720 1.956 1.104 -0.275 -0.247 -0.316 -0.253 -0.041 -0.157 -0.220 -0.220 -0.277 0.276 -0.264 0.051 0.239 0.734 -0.173 0.218 0.393 0.216 0.236 -0.540 -0.511 -0.295 -0.885 -1.790 -1.155 0.173 -1.398 0.222 -0.576 0.097 -0.878 0.847 0.162 -1.249 -1.479 -0.823 -2.130 -0.759 -0.518 -0.730 -0.446 -0.699 0.094 -0.596 0.122 -0.128 -0.550 -0.752 -0.773 -1.152 0.451 -0.545 -1.079 0.101 0.325 0.489 0.263 0.407 0.266 0.455 0.132 0.411 0.315 0.495 0.358 0.342 0.335 0.374 -0.154 0.084 0.593 0.578 0.239 0.533 0.167 0.278 0.135 0.419 0.082 0.432 0.285 0.306 0.444 0.434 0.633 0.268 0.186 0.428 0.299 0.346 0.084 -0.274 0.362 0.347 0.394



2.